...breaking barriers, building bridges

Series of progressive interventions have been made both internationally, regionally, and locally, in tandem with the international set standard and best practices within the Policy Framework and National Action Plan adopted by various governments, international organizations, and civil society organizations for Preventing and Countering Violent Extremism.

Series of progressive interventions have been made both internationally, regionally and locally, in tandem with the international set standard and best practices within the Policy Framework and National Action Plan adopted by various governments, international organizations and civil society organizations for Preventing and Countering Violent Extremism.

For instance, the United Nations Development Program (UNDP) had made many interventions with program for the preventing and countering violent extremism. It is established that UNDP has supported and still supporting Prevention of Violent Extremism programming in 21 countries in Africa through whole-of-society approaches. The focus are at Global, Regional and Local levels. At the global level, UNDP focuses on supporting the development of methodologies, tools, and policies, building an action-oriented research agenda and evidence based on the drivers of violent extremism. At the regional level, UNDP supports analysis, transfer of knowledge, capacity building, and the creation of network and platform facilities that enhance regional conflict resolution mechanisms. At the country level, UNDP supports national governments and stakeholders to strengthen institutions and increase community resilience, including by supporting the development of National Action Plans for PVE. Projects are tailored to local needs.

In response to the growing threat of terrorism in Africa, UNDP aims to strengthen development responses and mitigate the growth of violent extremism, focusing on long-term change at the structural level.

There are different projects embark upon by UNDP in Africa both at regional and national levels, in order to provide technical and financial support for preventing and countering violent extremism

The interventions are clustered into three(3) categories:

We have Epicenter Countries such as Libya, Mali, Nigeria, and Somalia.
We also have Spill - Over Countries such as Burkina Faso, Cameroon, Chad, Ethiopia, Mauritania, Niger and Tunisia.

And we have At - Risk Countries such as Benin, Central African Republic, Ghana, Morocco, Senegal, Sudan, Tanzania, Togo, and Uganda.

The interventions run through Preventing Violent Extremism Strategies. These PVE Strategies contributed technical and financial support to the process of developing national strategies and Plans of action for the Central African Republic, Chad, Mali, Nigeria, Sudan, Tanzania and Uganda.

Examples are the following National interventions:

  • Established Human Rights “Observatory” in the North of Cameroon to deepen the understanding about Human Rights Violations.
  • Supported Civil Military Community dialogues in Chadian Island communities.
  •  Provided capacity building to 125  religious leaders associated with the Kenyan Defense Forces on the effects of their interactions on youth radicalization.

On the regional level, the PVE Strategies supported effective regional coordination and joint planning, resulting in the development of the Lake Chad Basin Commissions Regional Stabilization Strategy. This development also led to the launching of Intergovernmental Authority on Developments,(IGADs) Regional Strategy for PCVE.

The project is a joint initiative between UNDP Regional Service Centre for Africa and Regional Hub in AMMAN.

For the international level, the project is delivered through the United Nations Counter Terrorism Centre(UNCCT) within the United Nations Office of Counter Terrorism (UNOCT).

The geographical reach of the program are the following: CARRIBEAN, EUROPE, AFRICA, MIDDLE EAST, CENTRAL ASIA, SOUTH ASIA, SOUTH EAST ASIA AND OCEANIA.

_Next to the piece, the page also holds records of molecules_
┌──
No. 1
Molecular formula: C4H10N2
Method: DFT, wB97M-V/def2-TZVPD

Net charge: 0
HOMO-LUMO gap, eV: 7.9
SMILES: C=NCCCN
Electronic energy, a.u.: -267.7884
HOMO energy, eV: -7.8991

Positions of all 16 atoms, in Å:
C -1.217 -0.576 -0.473
C -0.308 -0.290 0.771
C 1.130 -0.168 0.317
C 2.234 1.677 -0.661
N 1.281 0.845 -0.722
N -2.493 -1.072 0.014
H -1.182 0.264 -1.155
H -0.821 -1.474 -0.981
H -0.535 -1.037 1.545
H -0.722 0.654 1.151
H 1.819 0.045 1.136
H 1.441 -1.166 -0.027
H 3.187 1.529 -1.234
H 2.237 2.565 -0.016
H -2.810 -0.968 0.963
H -3.242 -0.829 -0.626

Results of the natural (NBO) charge analysis, in e, for atoms 1 through 5: -0.21 -0.41 -0.21 0.16 -0.56

=====

No. 2
Molecular formula: C4H10N2
Method: DFT, wB97M-V/def2-TZVPD

Net charge: +1
HOMO-LUMO gap (alpha / beta), eV: 9.6 / 5.6
Multiplicity: 2
Electronic energy, a.u.: -267.5603
⟨S²⟩: 0.76
HOMO energy (alpha / beta), eV: -13.4543 / -13.4113

Positions of all 16 atoms, in Å:
C 0.746 0.428 -1.354
C 0.610 -0.621 -0.193
C -0.238 -0.267 1.049
C -1.054 -1.274 1.408
N 0.191 0.829 1.663
N -0.499 0.849 -1.922
H 1.337 1.288 -0.919
H 1.564 0.216 -2.018
H 1.710 -0.604 0.170
H 0.410 -1.686 -0.393
H -1.652 -1.175 2.301
H -1.550 -1.782 0.653
H 0.620 1.424 0.923
H -0.242 1.193 2.506
H -0.773 0.234 -2.634
H -1.181 0.948 -1.239

Results of the natural (NBO) charge analysis, in e, for atoms 1 through 5: -0.23 -0.50 0.28 -0.14 -0.59

=====

No. 3
Molecular formula: C4H10N2O
Method: DFT, wB97M-V/def2-TZVPD

Net charge: -1
HOMO-LUMO gap (alpha / beta), eV: 3.5 / 7.3
Multiplicity: 2
Electronic energy, a.u.: -343.0403
⟨S²⟩: 0.75
HOMO energy (alpha / beta), eV: 0.8019 / -3.2240

Positions of all 17 atoms, in Å:
N -0.092 -0.321 1.369
C 0.021 -0.397 -0.065
C 0.930 0.907 -0.473
C 1.966 1.176 0.665
O 2.820 0.463 1.161
C -1.322 -0.269 -0.874
N -2.160 -1.416 -0.568
H 0.382 0.353 1.891
H 0.158 -1.193 1.870
H 0.560 -1.303 -0.547
H 1.641 0.906 -1.370
H 0.327 1.968 -0.580
H 2.015 2.251 0.925
H -1.203 -0.135 -1.953
H -1.829 0.677 -0.671
H -1.691 -2.268 -1.080
H -2.524 -1.398 0.300

Results of the natural (NBO) charge analysis, in e, for atoms 1 through 5: -0.89 -0.11 -0.54 0.05 -0.76

=====

No. 4
Molecular formula: C4H10N2O
Method: DFT, wB97M-V/def2-TZVPD

Net charge: 0
HOMO-LUMO gap, eV: 10.0
SMILES: CCN(CC)N=O
Electronic energy, a.u.: -342.9804
HOMO energy, eV: -9.1610

Positions of all 17 atoms, in Å:
C -2.158 0.727 0.831
C -1.385 -0.040 -0.313
C 1.222 0.480 -0.327
C 2.560 -0.211 -0.238
H -2.197 0.047 1.863
H -1.823 1.896 1.050
H -3.303 0.671 0.357
H -1.330 0.685 -1.152
H -2.000 -0.928 -0.499
H 1.512 1.088 -1.326
H 1.278 1.346 0.394
H 2.844 -0.541 0.846
H 2.247 -1.139 -0.767
H 3.263 0.402 -0.919
N 0.022 -0.387 -0.164
N 0.139 -1.776 0.119
O -0.890 -2.320 0.245

Results of the natural (NBO) charge analysis, in e, for atoms 1 through 5: -0.63 -0.28 -0.23 -0.63 0.22

=====

No. 5
Molecular formula: C4H10N2O
Method: DFT, wB97M-V/def2-TZVPD

Net charge: 0
HOMO-LUMO gap, eV: 9.6
SMILES: CN1NCC[C@@H]1O
└──

The Global program on PCVE has delivered three key initiatives with young people. They are:

The Youth Engagement and Empowerment Project (YEEP)  in Southeast Asia, ( 2002) and East Africa (2023) which supports young people to become leaders in PCVE policy making.

Empowering Dialogue and Interfaith Networks (EDIN), (2021) which supports young religious leaders and young media makers across the globe to develop media campaign championing religious harmony.

Young Leaders for Online PCVE (2023) which supports young people in Southeast Asia to develop online PCVE strategic communication initiatives